Fireworks Night, Are You Prepared?
Are you prepared for fireworks night and the fast-approaching festive season?
Many pets, dogs and cats alike, struggle at this time of year with noise sensitivities and subsequently owners can find these annual events quite stressful too.
With the massive influx of new pets that we’ve seen over the last 18 months and last year’s events cancelled as we went back into lockdown, this year will be the first fireworks experience for many of these new puppy’s and pets.
But there is good news, if you can anticipate the event then there are strategies that us pet owners can use to make it go without a bang! Sadly, there are always occasions that we can’t predict, so having a few techniques up your sleeve to alleviate any stresses for your cat or dog during this period is only going to be helpful. We can help our dogs to get used to this annual event, with some effort and consistency.
Firstly, we must remember that our canine and feline companions have incredibly good senses, this includes sound, sight and smell. Fireworks will engage all these senses, as they do for us. We however have the capacity to understand that these events are generally short-lived and not harmful to us. Our pets do not. Be gentle and reassuring, don’t leave your dog at home alone.
These records of molecules were left in the page by mistake:
┌──
Record 1
The following is a DFT calculation (the ωB97M-V functional and the def2-TZVPD basis) of 2 unconnected molecules or ions with the total composition CBrN3O at a distorted geometry.

As for the HOMO-LUMO gap: 11.22 eV. The HOMO energy comes out at -10.86 eV. The structure (SMILES) is N#[N+][O-].N#CBr.

```
! RIJCOSX wB97M-V def2-TZVPD def2/J DEFGRID3
* xyz 0 1
N 2.34 -0.15 0.41
N 1.49 0.45 0.04
O 0.51 0.95 -0.24
N -1.13 -0.64 -0.18
C -2.23 -0.34 -0.15
Br -3.90 0.09 0.06
*
```

Atom charges from the Mulliken analysis, given in e for atoms 1 to 4:
1. N -0.35
2. N 0.86
3. O -0.51
4. N -0.28

=====

Record 2
The following is a DFT calculation (the ωB97M-V functional and the def2-TZVPD basis) of 2 unconnected molecules or ions with the total composition CBrN3S at a distorted geometry.

As for the HOMO-LUMO gap: 10.22 eV. The HOMO energy comes out at -10.08 eV. The structure (SMILES) is N#[N+][S-].N#CBr.

```
! RIJCOSX wB97M-V def2-TZVPD def2/J DEFGRID3
* xyz 0 1
N 0.19 -0.66 1.85
N 0.22 0.46 1.67
S 0.32 1.93 1.62
N 1.10 -0.60 -1.82
C -0.02 -0.61 -1.74
Br -1.81 -0.52 -1.58
*
```

Atom charges from the Mulliken analysis, given in e for atoms 1 to 4:
1. N -0.20
2. N 0.29
3. S -0.09
4. N -0.31

=====

Record 3
The following is a DFT calculation (the ωB97M-V functional and the def2-TZVPD basis) of 2 unconnected molecules or ions with the total composition CBrN5O2 at a distorted geometry.

As for the HOMO-LUMO gap: 10.81 eV. The HOMO energy comes out at -11.42 eV.

```
! RIJCOSX wB97M-V def2-TZVPD def2/J DEFGRID3
* xyz 0 1
C -1.16 0.76 -2.52
N -1.84 1.67 -2.60
N -0.52 1.85 0.81
N -0.21 0.78 0.96
N -0.08 -0.40 1.03
N 1.03 -1.14 1.46
O 0.87 -2.32 1.43
O 1.99 -0.52 1.81
Br -0.08 -0.67 -2.39
*
```

Atom charges from the Mulliken analysis, given in e for atoms 1 to 4:
1. C 0.24
2. N -0.33
3. N -0.46
4. N 0.92

=====

Record 4
The following is a DFT calculation (the ωB97M-V functional and the def2-TZVPD basis) of 2 unconnected molecules or ions with the total composition CBrNO4 at a distorted geometry.

As for the HOMO-LUMO gap (spin up / spin down): 8.33 / 8.79 eV. The HOMO energy (spin up / spin down) comes out at -10.60 / -10.70 eV. The structure (SMILES) is O=NOBr.O=C=O.

```
! RIJCOSX wB97M-V def2-TZVPD def2/J DEFGRID3
* xyz 0 1
O -0.11 2.43 0.92
N -0.58 2.14 -0.12
O -1.17 1.27 -0.64
Br -1.92 -0.71 -0.03
O 0.84 -2.74 0.31
C 1.25 -1.76 -0.06
O 1.70 -0.64 -0.39
*
```

Atom charges from the Mulliken analysis, given in e for atoms 1 to 4:
1. O -0.39
2. N 0.84
3. O -0.34
4. Br -0.12

* * * * *

Density functional theory data (ωB97M-V/def2-TZVPD) for one molecule with the formula C4H7N3 in a non-equilibrium geometry.

ORCA input file:
└──
Here the page continues:
Does your dog react to fireworks every year? The unpredictability of fireworks means that unless work is done with your pet prior to the event, they won’t be able to employ a useful coping strategy. You can work on desensitising your dog throughout the year, incorporate it into their puppy training, not just in a concentrated effort just before the event. We recommend you speak to your local dog behaviourist to develop a tailored dog training program for this.
VisioCare’s tips for keeping dog’s calm and comforted during the fireworks:
- The first tip is that you do continued and on-going sound sensitivity work with your dog.
- Then there are strategies you can implement on the night. Use social media and local press to keep track of events in your area. On the night, keep your windows and curtains closed, turn the volume up on your TV or radio to reduce the impact of the bangs and leave the lights on.
- Provide a safe place or nest for your pet, with blankets and toys and treats. A crate-trained dog may find the confines of a well-prepared hiding place very reassuring and help to reduce anxiety.
- Use fireworks nights as an opportunity for play time with your dog, make a fun game that involves their favourite treats and will distract them from what is happening outside. This will help to create a more positive association for them, and it will also build bonds and trust.
- Finally, utilise the beneficial effects of some highly reputed, tried and tested calming products. For example, Adaptil for dogs, Feliway for cats and Pet Remedy, a natural remedy that is suitable for many species including horses and rabbits too.
Remember that small animals will either need to be brought indoors and provide them with lots of extra bedding.
Through our pets app, myBuddy we always provide the best guidance we can to help you with issues that affect your pets, whether cats, dogs, rats, rabbits or reptiles. However, we would always recommend you call your vet or get in touch via the myBuddy app.